Agronomy 405/505 Spring 2009 Problem Set 2 Due Tuesday, January 27, 2009

Agronomy 405/505
Spring 2009
Problem Set 2
Due Tuesday, January 27, 2009
Assigned January 20, 2009
1. Vist the Iowa Environmental Mesonet ( and
follow the following links to see the meteorological data collected at ISU meteorology instructor David Flory’s house: “Other” under “IEM Data Networks;” and then
“Mesonet Northeast Ames.” Look at the data for January 16 (when we finally got out
of the deep freeze) and January 20 (Inauguration Day), 2009.
You can download the raw data by clicking on “View raw data file.” The columns are
in this order: month; day; year; hour; minute; current outside air temperature (◦ F);
highest recorded air temperature so far that day (◦ F); lowest recorded air temperature
# Calculated crystals, kept here for reference
- - -
This entry pairs a crystal structure of Pr2NdYTm5 with its simulated XRD peak list. Radiation: λ = 1.5418 Å (Cu Kα). Structure: a cell relaxed with GGA-PBE.
Intensities are scaled so that the largest is 1000.

Structure:
Cell lengths 9.912, 9.912, 9.912 Å; angles 128.50, 128.50, 75.82 degrees
Sites, in units of the cell vectors:
Pr (0.119, 0.619, 0.737)
Pr (0.381, 0.119, 0.500)
Pr (0.619, 0.881, 0.500)
Pr (0.881, 0.381, 0.263)
Nd (0.250, 0.750, 0.500)
Nd (0.750, 0.250, 0.500)
Y (0.250, 0.250, 0.000)
Y (0.750, 0.750, 0.000)
Tm (0.000, 0.000, 0.000)
Tm (0.071, 0.150, 0.500)
Tm (0.150, 0.650, 0.079)
Tm (0.350, 0.429, 0.500)
Tm (0.429, 0.929, 0.079)
Tm (0.500, 0.500, 0.000)
Tm (0.571, 0.071, 0.921)
Tm (0.650, 0.571, 0.500)
Tm (0.850, 0.350, 0.921)
Tm (0.929, 0.850, 0.500)

The 12 most intense peaks (10° ≤ 2θ ≤ 90°), sorted by position:
2theta	Rel. int.
28.82	539
29.33	513
30.89	1000
32.88	112
34.88	166
38.11	166
43.72	117
46.44	119
46.85	133
48.32	118
53.00	215
55.88	122

This entry pairs a crystal structure of Pr5NdY6 with its simulated XRD peak list. Radiation: λ = 1.5418 Å (Cu Kα). Structure: a cell relaxed with GGA-PBE.
Intensities are scaled so that the largest is 1000.

Structure:
Cell lengths 6.325, 6.325, 11.925 Å; angles 95.06, 95.06, 120.00 degrees
Sites, in units of the cell vectors:
Pr (0.000, 0.000, 0.000)
Pr (0.167, 0.833, 0.500)
Pr (0.333, 0.667, 0.000)
Pr (0.667, 0.333, 0.000)
Pr (0.833, 0.167, 0.500)
Nd (0.500, 0.500, 0.500)
Y (0.084, 0.417, 0.250)
Y (0.250, 0.250, 0.750)
Y (0.417, 0.084, 0.250)
Y (0.583, 0.916, 0.750)
Y (0.750, 0.750, 0.250)
Y (0.916, 0.583, 0.750)

The 12 most intense peaks (10° ≤ 2θ ≤ 90°), sorted by position:
2theta	Rel. int.
30.02	1000
30.46	321
34.93	665
49.95	239
50.52	231
59.38	141
59.64	278
60.15	136
62.40	121
81.21	113
83.87	105
84.76	103

This entry pairs a crystal structure of Pr5Nd2Y2 with its simulated XRD peak list. Radiation: λ = 1.5418 Å (Cu Kα). Structure: a cell relaxed with GGA-PBE.
Intensities are scaled so that the largest is 1000.

Structure:
Cell lengths 5.204, 6.377, 11.021 Å; angles 95.55, 103.66, 114.08 degrees
Sites, in units of the cell vectors:
Pr (0.000, 0.000, 0.000)
Pr (0.111, 0.778, 0.445)
Pr (0.223, 0.556, 0.889)
Pr (0.777, 0.444, 0.111)
Pr (0.889, 0.222, 0.555)
Nd (0.332, 0.334, 0.332)
Nd (0.668, 0.666, 0.668)
Y (0.445, 0.111, 0.777)
Y (0.555, 0.889, 0.223)

The 12 most intense peaks (10° ≤ 2θ ≤ 90°), sorted by position:
2theta	Rel. int.
29.75	1000
34.48	506
49.52	61
49.57	301
58.86	358
58.96	71
61.76	93
72.67	38
80.44	116
80.56	58
82.99	94
83.11	53

This entry pairs a crystal structure of Pr9Nd3Y2 with its simulated XRD peak list. Radiation: λ = 1.5418 Å (Cu Kα). Structure: a cell relaxed with GGA-PBE.
Intensities are scaled so that the largest is 1000.

Structure:
Cell lengths 9.195, 9.195, 14.204 Å; angles 90.00, 90.00, 120.00 degrees
Sites, in units of the cell vectors:
Pr (0.080, 0.480, 0.250)
Pr (0.132, 0.725, 0.043)
Pr (0.132, 0.725, 0.457)
Pr (0.275, 0.406, 0.043)
- - -
so far that day (◦ F); outside relative humidty (%); wind speed (mph); wind direction
(degrees); peak wind gust (mph); time of peak wind gust; air pressure (inches, adjusted
to sea level); precipitation so far that day (inches); precipitation so far that month
(inches); precipitation so far that season (inches); inside air temperature (◦ F); and
inside relative humidity (%). Note that each day’s high and low temperature is also
listed on the web page above the figures, so there is no need to search through the raw
Compare the air temperature data for both days with the empirical model defined
by Equations (2.2) and (2.3) in Campbell and Norman (the class notes contain some
minor corrections) using the example m-file flory_example.m and the data file flory_
(a) Produce a figure with two curves for January 16: the output of the empirical
model defined by (2.2) and (2.3); and the actual data.
(b) Does the model match the data for January 16? Explain.
(c) Produce a figure with two curves for January 20: the output of the empirical
model defined by (2.2) and (2.3); and the actual data. Remove from your data
file (using a text editor) any data that is recorded after midnight.
(d) Does the model match the data for January 20? Explain.
2. Explain why ω = π/12 rad hour−1 in Campbell and Norman Equation (2.2).
3. 2.1 in Campbell and Norman. Use the m-file for Example 2.2 on the course website as
a guide.
4. 2.2 in Campbell and Norman. Is this a moist or dry soil?
5. 2.4 in Campbell and Norman. Use the data file provided on the course web site so
that you don’t have to enter all the data by hand. I’d like you to try to solve this
problem using MATLAB, but if you get stuck, try using another tool like a spreadsheet
6. Read the Eos article “Where are the Hottest Spots on Earth?” on the course website.
Eos is a weekly periodical published by the American Geophysical Union (http://www., a professional association supporting the study of Earth and space science.
(a) What is the current world record air temperature (at the time that the article
was written), and where was it recorded?
(b) What does the acronym LST stand for?
(c) The MODIS sensor on NASA’s Aqua satellite discussed in this article consists of
several radiometers. A radiometer is an instrument that measures electromagnetic
radiation. We’ll learn later in this class about how all objects/surfaces emit radiation, and that this radiation is related to the temperature of the object/surface.
When an instrument measures the radiation emitted by an object/surface and we
interpret that measurement of radiation in terms of a geophysical quantity (in
Data records, as found in the file:
Diffraction record for TiGa2Pt2. The powder XRD pattern is computed, not measured: it uses DFT lattice parameters and positions (PBE) and Cu Kα.
No peak broadening, texture or thermal motion is included.

Largest 6 diffraction maxima, by angle, 2θ from 15° to 90°:
2θ/deg	Rel. int.	h k l
22.76	19	0 1 1
28.25	20	0 1 2
28.36	28	1 0 2
41.65	100	1 1 3
41.96	27	0 2 0
42.27	26	2 0 0

Atomic structure:
Unit cell a=4.276 b=4.306 c=9.299 alpha=90.00 beta=90.00 gamma=90.00
Space group Pmmn (No. 59, origin choice 2)
Inequivalent atoms, fractional coordinates:
Ti: 0.250 0.250 0.184 [2 per cell]
Ga: 0.250 0.250 0.502 [2 per cell]
Ga: 0.250 0.250 0.820 [2 per cell]
Pt: 0.250 0.750 0.339 [2 per cell]
Pt: 0.250 0.750 0.976 [2 per cell]


Diffraction record for Li2La3Tb2Tl4. The powder XRD pattern is computed, not measured: it uses DFT lattice parameters and positions (PBE) and Cu Kα.
No peak broadening, texture or thermal motion is included.

Largest 6 diffraction maxima, by angle, 2θ from 15° to 90°:
2θ/deg	Rel. int.	h k l
23.50	51	0 1 2
32.17	95	0 1 4
34.73	100	1 1 0
43.24	30	1 0 6
48.06	31	2 0 4
60.64	31	1 2 4

Atomic structure:
Unit cell a=5.1663 b=5.1663 c=14.2150 alpha=90.00 beta=90.00 gamma=120.00
Space group P-3m1 (No. 164)
Inequivalent atoms, fractional coordinates:
Li: 0.3333 0.6667 0.1307 [2 per cell]
La: 0.0000 0.0000 0.0000 [1 per cell]
La: 0.0000 0.0000 0.2439 [2 per cell]
Tb: 0.3333 0.6667 0.5791 [2 per cell]
Tl: 0.3333 0.6667 0.3542 [2 per cell]
Tl: 0.3333 0.6667 0.8734 [2 per cell]
this case temperature), this is called a remotely–sensed measurement. What is
an advantage of using remotely–sensed measurements of LST?
(d) What is a disadvantage of using remotely–sensed measurements of LST?
(e) According to MODIS, what is the hottest Earth LST, and where did it occur?
(f) How does vegetation influence LST? Explain.
(g) How does irrigation influence LST? Explain.